How to cast a value 52:35 which is stored as a string in the DB and I want only 52 in BigInt value in PostgreSQL DB as a query.
I tried with this following query
select cast(substr(a,1,strpos(a,':')-1) AS bigint) as value from abc
which returned me an error "negative substring length not allowed"
That query will fail when it encounters a value that does not contain a colon :. Use a case...when...else...end construct to attempt the extraction only when the value contains a colon. Something like (untested)
CASE WHEN strpos(a,':') > 0
THEN cast(substr(a,1,strpos(a,':')-1) AS bigint
else null
For the else case, substitute whatever you need. There might also be a way to use split_part(...) instead of the above, but I had trouble finding documentation saying what happens if the delimiter is not present.
You could use split_part(string text, delimiter text, field int)
postgres=# select split_part('52:35', ':', 1)::bigint;
postgres=# select split_part('52', ':', 1)::bigint;
I am getting weird results when using a spark SQL statements like:
select * from mytab where somecol NOT IN ('ABC','DEF')
If I set somecol to ABC it returns nothing. If I set it to XXX it returns a row.
However, if I leave the column blank, like ,, in the CSV data (so the value is read as null), it still does not return anything, even though null is not in the list of values.
This remains the case even if re-written as NOT(somecol IN ('ABC','DEF')).
I feel like this is to do with comparisons between null and strings, but I am not sure what to do about null column values that end up in IN or NOT IN clauses.
Do I need to convert them to empty strings first?
You can put explicit check for nulls in query as null comparison returns unknown in spark details here
select * from mytab where somecol NOT IN ('ABC','DEF') or somecol is null
I want to cast string into Integer.
I have a table like this.
ID Salary
1 "$1,000"
2 "$2,000"
ID Salary
1 1000
2 2000
My query
Select Id, cast(substring(Salary,2, length(salary)) as int)
from have
I am getting error.
ERROR: invalid input syntax for type integer: "1,000"
SQL state: 22P02
Can anyone please provide some guidance on this.
Remove all non-digit characters, then you cast it to an integer:
regexp_replace(salary, '[^0-9]+', '', 'g')::int
But instead of trying to convert the value every time you select it, fix your database design and convert the column to a proper integer. Never store numbers in text columns.
alter table bad_design
alter salary type int using regexp_replace(salary, '[^0-9]+', '', 'g')::int;
I have a table with a few key columns created with nvarchar(80) => unicode.
I can list the full dataset with SELECT * statement (Table1) and can confirm the values I need to filter are there.
However, I can't get any results from that table if I filter rows by using as input an alphabet char on any column.
Columns in table1 stores values in cyrilic characters.
Here the piece breaks off for calculated crystals
┌──
Record 1
Density functional theory data (PBE) for crystalline Ca6Hf19O44 at its relaxed geometry.

a b c (Å): 12.091 12.091 12.091
angles (deg): 98.08 98.08 98.08
Fractional coordinates of all 138 atoms:
Hf 0.552 0.379 0.342
Hf 0.142 0.576 0.551
Hf 0.658 0.448 0.621
Hf 0.948 0.158 0.121
Hf 0.158 0.121 0.948
Hf 0.052 0.842 0.879
Hf 0.062 0.250 0.438
Hf 0.643 0.250 0.857
Hf 0.438 0.062 0.250
Hf 0.379 0.342 0.552
Hf 0.938 0.750 0.562
Hf 0.857 0.643 0.250
Hf 0.357 0.750 0.143
Hf 0.750 0.143 0.357
Hf 0.076 0.642 0.051
Hf 0.250 0.438 0.062
Hf 0.949 0.924 0.358
Hf 0.449 0.858 0.424
Hf 0.842 0.879 0.052
Hf 0.562 0.938 0.750
Hf 0.924 0.358 0.949
Hf 0.576 0.551 0.142
Hf 0.143 0.357 0.750
Hf 0.358 0.949 0.924
Hf 0.121 0.948 0.158
Hf 0.750 0.750 0.750
Hf 0.879 0.052 0.842
Hf 0.750 0.562 0.938
Hf 0.424 0.449 0.858
Hf 0.642 0.051 0.076
Hf 0.621 0.658 0.448
Hf 0.448 0.621 0.658
Hf 0.551 0.142 0.576
Hf 0.250 0.857 0.643
Hf 0.051 0.076 0.642
Hf 0.858 0.424 0.449
Hf 0.250 0.250 0.250
Hf 0.342 0.552 0.379
Ca 0.950 0.550 0.750
Ca 0.250 0.666 0.834
Ca 0.750 0.950 0.550
Ca 0.334 0.166 0.750
Ca 0.450 0.250 0.050
Ca 0.834 0.250 0.666
Ca 0.166 0.750 0.334
Ca 0.666 0.834 0.250
Ca 0.250 0.050 0.450
Ca 0.550 0.750 0.950
Ca 0.750 0.334 0.166
Ca 0.050 0.450 0.250
O 0.607 0.607 0.607
O 0.005 0.815 0.044
O 0.701 0.301 0.348
O 0.652 0.299 0.699
O 0.393 0.182 0.585
O 0.541 0.951 0.580
O 0.152 0.199 0.799
O 0.070 0.252 0.266
O 0.369 0.801 0.985
O 0.185 0.956 0.995
O 0.734 0.930 0.748
O 0.505 0.544 0.315
O 0.301 0.869 0.485
O 0.515 0.699 0.131
O 0.085 0.682 0.893
O 0.869 0.485 0.301
O 0.109 0.745 0.567
O 0.067 0.245 0.609
O 0.391 0.933 0.755
O 0.348 0.701 0.301
O 0.015 0.631 0.199
O 0.752 0.570 0.766
O 0.609 0.067 0.245
O 0.682 0.893 0.085
O 0.585 0.393 0.182
O 0.685 0.495 0.456
O 0.848 0.801 0.201
O 0.766 0.752 0.570
O 0.107 0.107 0.107
O 0.631 0.199 0.015
O 0.182 0.585 0.393
O 0.985 0.369 0.801
O 0.299 0.699 0.652
O 0.266 0.070 0.252
O 0.495 0.456 0.685
O 0.459 0.049 0.420
O 0.107 0.915 0.318
O 0.570 0.766 0.752
O 0.959 0.920 0.549
O 0.315 0.505 0.544
O 0.199 0.799 0.152
O 0.433 0.891 0.255
O 0.044 0.005 0.815
O 0.049 0.420 0.459
O 0.607 0.818 0.415
O 0.915 0.318 0.107
O 0.131 0.515 0.699
O 0.567 0.109 0.745
O 0.199 0.015 0.631
O 0.699 0.652 0.299
O 0.318 0.107 0.915
O 0.080 0.451 0.041
O 0.893 0.893 0.893
O 0.755 0.391 0.933
O 0.951 0.580 0.541
O 0.415 0.607 0.818
O 0.393 0.393 0.393
O 0.485 0.301 0.869
O 0.956 0.995 0.185
O 0.420 0.459 0.049
O 0.748 0.734 0.930
O 0.301 0.348 0.701
O 0.245 0.609 0.067
O 0.255 0.433 0.891
O 0.933 0.755 0.391
O 0.248 0.430 0.234
O 0.799 0.152 0.199
O 0.815 0.044 0.005
O 0.745 0.567 0.109
O 0.201 0.848 0.801
O 0.818 0.415 0.607
O 0.234 0.248 0.430
O 0.544 0.315 0.505
O 0.801 0.985 0.369
O 0.451 0.041 0.080
O 0.930 0.748 0.734
O 0.699 0.131 0.515
O 0.041 0.080 0.451
O 0.252 0.266 0.070
O 0.801 0.201 0.848
O 0.995 0.185 0.956
O 0.893 0.085 0.682
O 0.430 0.234 0.248
O 0.580 0.541 0.951
O 0.549 0.959 0.920
O 0.920 0.549 0.959
O 0.891 0.255 0.433
└──
I know it must have to do with character encoding => what I see in the result list is not what I use as input characters.
Unicode nvarchar type should resolve automatically this character type mismatch.
What do you suggest me to do in order to get results?
Thank you very much.
I am creating a sqlite3 table that accepts records from a server. There should be one date/text column that also has a datetime DEFAULT value, so I can sync a record which times differ from the server's record.
I found a solution on this forum from here. The problem is it gives me the following error on executing the table creation script: sqlite3.OperationalError: default value of column [updated_at] is not constant.
Table is created:
cur.execute('CREATE TABLE IF NOT EXISTS emp_tb(\
emp_names TEXT NOT NULL,\
updated_at TEXT NULL DEFAULT (datetime("now", "localtime")),\
syncstatus INTEGER NOT NULL DEFAULT "0")')
Should I create a trigger? or How can I have a default value in format ("YYYY-MM-DD HH:MM:SS.SSS") in case the update misses a spot?
Use single quotes (') for the datetime options. As mentioned in the comments, they will have to be escaped (because the query is delimited with single quotes).
I have one column in my table in Postgres let's say employeeId. We do some modification based on the employee type and store it in DB. Basically, we append strings from these 4 strings ('ACR','AC','DCR','DC'). Now we can have any combination of these 4 strings appended after employeeId. For example, EMPIDACRDC, EMPIDDCDCRAC etc. These are valid combinations. I need to retrieve EMPID from this. EMPID length is not fixed. The column is of varying length type. How can this be done in Postgres?
I am not entirely sure I understand the question, but regexp_replace() seems to do the trick:
with sample (employeeid) as (
select employeeid,
regexp_replace(employeeid, 'ACR|AC|DCR|DC.*$', '', 'gi') as clean_id
from sample
employeeid | clean_id
1ACR | 1
100DCRAC | 100
The regular expression says "any character after any of those string up to the end of the string" - and that is then replace with nothing. This however won't work if the actual empid contains any of those codes that are appended.
It would be much cleaner to store this information in two columns. One for the empid and one for those "codes"